Data =
********
Record 1
Formula: C3H11NO2
Source: the Open Molecules 2025 dataset
Level of theory: ωB97M-V/def2-TZVPD

```
17
Properties=species:S:1:pos:R:3:forces:R:3
C -1.132680 0.141905 0.218383 2.080 2.966 1.358
N 0.056365 -0.025920 1.174249 -0.909 -1.439 0.882
C 1.359661 -0.634785 0.697690 -1.786 3.363 -2.379
C 1.907193 -1.605872 1.617468 3.179 -0.859 -0.212
O 2.941593 -2.289711 0.786886 2.882 1.380 1.009
H -0.927621 1.206120 -0.136765 -1.011 -1.171 0.167
H -2.130402 0.070981 0.681350 0.730 0.128 0.291
H -1.155920 -0.439879 -0.649773 0.384 -1.466 -1.228
H -0.272614 -0.555391 2.020921 0.541 0.671 -1.293
H 1.203751 -1.054552 -0.314152 -0.065 -0.390 0.580
H 2.164395 0.159384 0.457153 -1.281 -0.715 0.720
H 2.410494 -1.102635 2.506761 -1.031 -0.998 -0.752
H 1.197137 -2.399229 1.807479 -0.067 -0.071 0.687
H 3.897453 -1.820013 0.822465 -3.646 -1.400 0.169
O -4.343825 3.719907 -3.806321 0.028 0.489 1.869
H -3.808816 2.973380 -3.457028 -0.558 0.824 -0.231
H -4.559600 4.294218 -3.003917 0.532 -1.313 -1.637
```
Forces are in eV/Å.

Summary:
- SMILES: CNCCO.O
- Net charge: 0
- Energy: -326.0547 Eh
- Kohn-Sham gap: 0.3445 Ha
- Relative energy (zero: lowest compared OMol25 entry of this formula, charge and spin): 201.5 kJ/mol
- M: 93.1 g/mol
- LUMO energy: 0.02457 Ha

Record 2
Formula: C3H11NO2
Source: the Open Molecules 2025 dataset
Level of theory: ωB97M-V/def2-TZVPD

```
17
Properties=species:S:1:pos:R:3:forces:R:3
C 1.181694 -1.353581 1.019442 1.994 2.416 -4.601
N 0.143722 -1.691038 0.399111 -1.166 -1.608 -0.745
C -0.014235 -1.667987 -1.132619 1.926 3.537 0.522
C 0.767553 -0.521816 -1.877133 0.339 1.456 0.381
H 2.009206 -0.725791 0.474706 -1.103 -0.992 0.437
H 1.578152 -1.557531 1.958223 -0.817 -0.675 2.272
H 0.478330 -2.500778 -1.576815 -0.301 -1.375 0.328
H -1.010001 -1.500400 -1.529579 -0.492 -0.762 1.000
H 0.339893 -0.256731 -2.866010 0.399 -0.958 0.233
H 0.759977 0.492048 -1.443532 -0.610 -0.366 0.726
H 1.854159 -0.654512 -1.909377 -0.209 -0.563 -0.515
O -0.095272 2.936545 -0.079885 -0.015 -0.189 -0.194
H -0.251447 3.180035 -1.003390 -0.095 -0.196 0.380
H -0.783614 2.298848 0.178693 0.005 0.500 -0.209
O -1.711227 1.220916 1.696372 1.538 -1.584 -0.766
H -2.113946 0.358426 1.514728 -0.978 0.279 0.179
H -0.805884 0.853671 1.518425 -0.415 1.084 0.573
```
Forces are in eV/Å.

Summary:
- SMILES: C=NCC.O.O
- Net charge: 0
- Energy: -326.0542 Eh
- Kohn-Sham gap: 0.3729 Ha
- Relative energy (zero: lowest compared OMol25 entry of this formula, charge and spin): 202.8 kJ/mol
- M: 93.1 g/mol
- LUMO energy: 0.02582 Ha

Record 3
Formula: C3H11NO2
Source: the Open Molecules 2025 dataset
Level of theory: ωB97M-V/def2-TZVPD

```
17
Properties=species:S:1:pos:R:3:forces:R:3
C 0.000000 0.000000 0.000000 0.280 0.639 -0.174
O 0.286090 -0.904980 1.010520 -0.159 -1.310 0.872
C -0.880870 -1.381939 1.675249 -0.192 0.345 -0.170
C -0.702770 -2.712829 2.423419 0.904 0.594 -0.555
N 0.452770 -2.615009 3.399409 -1.721 -0.348 -0.462
H 0.980550 0.406770 -0.299440 -0.588 -0.054 0.445
H -0.626430 0.828820 0.370480 0.139 -0.052 -0.191
H -0.485370 -0.437930 -0.888390 0.035 -0.073 0.385
H -1.667799 -1.511959 0.907600 0.032 -0.058 0.375
H -1.220919 -0.595290 2.375959 0.002 -0.166 -0.124
H -0.521360 -3.467779 1.634380 0.227 0.098 0.678
H -1.687359 -2.932379 2.879299 0.405 -0.013 -0.016
H 0.512930 -3.511328 3.895059 0.036 0.450 -0.155
H 0.120550 -1.930819 4.088018 0.457 -0.289 -0.066
O 0.702990 1.056660 -2.419609 0.918 -0.716 -0.973
H 0.877000 0.851740 -3.366169 -0.165 0.284 0.974
H 1.296530 0.450250 -1.921369 -0.610 0.669 -0.842
```
Forces are in eV/Å.

Summary:
- SMILES: COCCN.O
- Net charge: 0
- Energy: -326.0855 Eh
- Kohn-Sham gap: 0.3806 Ha
- Relative energy (zero: lowest compared OMol25 entry of this formula, charge and spin): 120.8 kJ/mol
- M: 93.1 g/mol
- LUMO energy: 0.03182 Ha

=====

Computed, not measured: a 3-piece molecular cluster, C46H68ClFN4O8 overall, with the ωB97M-V functional and the def2-TZVPD basis.

Last columns: bonded neighbours and bond lengths (Å).
********

Wanted =
Could you count the lines above that contain the word "kJ" and give the number alone?

Outcome =
3